**Wanted:**
Please count the lines underneath that contain the word "orbital" and give the number alone.

**Input:**
+++
#w
Computed, not measured: a 2-piece molecular cluster, C6H14NS overall, with ωB97M-V/def2-TZVPD.

orbital gap	6.22	eV
lowest unoccupied orbital energy	0.128	hartree

Structure (ORCA input):
```
! RIJCOSX wB97M-V def2-TZVPD def2/J DEFGRID3
* xyz -1 1
S -2.41827 -0.40215 -2.83941
N 0.59677 0.21206 0.42337
C 0.34915 0.12180 -1.35393
C -2.17034 0.82540 -1.43555
C 1.47241 -1.90501 -0.38120
C -0.70566 1.23704 -1.61305
C 0.32324 -0.92715 -0.27877
C 0.48652 0.51880 3.77078
H 0.00577 1.17687 3.06236
H 0.25665 -0.48682 -2.42180
H -0.51833 1.58682 -2.66915
H 1.42192 -2.62901 0.41991
H 1.29989 0.96402 4.30096
H -0.70704 -1.31560 -0.39297
H -0.36004 2.10769 -0.98099
H 0.83515 -0.31657 3.26548
H 2.36520 -1.26493 -0.08067
H 1.30662 0.67069 -1.44244
H -2.16138 0.44847 -0.44518
H -0.44459 0.21809 4.26002
H 1.67190 -2.41246 -1.32634
H -2.90552 1.57193 -1.84142
*
```

#x
Computed, not measured: an isolated ion of composition C6H14NS and charge -1, with ωB97M-V/def2-TZVPD.

orbital gap	5.46	eV
lowest unoccupied orbital energy	0.116	hartree
structure (SMILES)	CCCNCCC[S-]

Structure (ORCA input):
```
! RIJCOSX wB97M-V def2-TZVPD def2/J DEFGRID3
* xyz -1 1
S 0.28269 -0.21661 4.67010
N 0.29873 -0.97354 -0.21326
C 0.69672 0.67970 3.11048
C -0.18692 0.53256 -2.17989
C 0.19849 -0.99347 1.28280
C 1.36202 -0.31524 2.02606
C -1.22201 0.58450 -3.30368
C -0.71644 -0.38833 -1.03233
H -0.05106 1.52723 -1.75021
H 1.46910 1.38572 3.39775
H 1.99011 -0.98310 2.61887
H 1.21795 -0.63734 -0.45965
H -1.27386 -0.37049 -3.83828
H 2.05591 0.25273 1.39323
H -2.16528 0.76039 -2.74173
H -0.22812 0.99898 2.61727
H 0.05818 -2.02877 1.57738
H -1.40167 0.32298 -0.55134
H -0.74172 -0.55867 1.60968
H -1.16418 1.36713 -4.06163
H -1.26014 -1.20606 -1.56219
H 0.78151 0.25971 -2.60944
*
```

Most stable = #x

#w
Computed, not measured: a single C2HNO2S molecule, with ωB97M-V/def2-TZVPD.

orbital gap	9.46	eV
lowest unoccupied orbital energy	-0.001	hartree
structure (SMILES)	O=c1c(=S)n1O

Structure (ORCA input):
```
! RIJCOSX wB97M-V def2-TZVPD def2/J DEFGRID3
* xyz 0 1
S 2.00261 -1.15675 -0.53742
O -1.84408 -0.54188 -1.45010
O -0.24522 1.15934 1.34633
N -0.26981 0.29858 0.29169
C 0.51376 -0.57196 -0.41075
C -0.83726 -0.44587 -0.87299
H 0.67999 1.25855 1.63324
*
```

#x
Computed, not measured: a single C2HNO2S molecule, with ωB97M-V/def2-TZVPD.

orbital gap	9.37	eV
lowest unoccupied orbital energy	-0.023	hartree
structure (SMILES)	O=c1s/c1=N\O

Structure (ORCA input):
```
! RIJCOSX wB97M-V def2-TZVPD def2/J DEFGRID3
* xyz 0 1
S 0.63562 1.55097 0.05886
O -2.06370 -0.40470 0.02988
O 2.68413 -0.37377 0.06386
N -0.84918 -0.99415 0.04034
C 0.19267 -0.28762 -0.00209
C 1.60113 -0.00156 0.07119
H -2.20066 0.51083 -0.26204
*
```

Most stable = #x
+++

**Reply:**
8